What to do.
Duplicate the lines further below up to the one that holds "14.49081 -4.90939", that line included.
Input.
(1)
DFT (ωB97M-V/def2-TZVPD) results for 9 unconnected molecules or ions with the total composition C19H56O9.

Properties
total charge	0
SMILES string	CC(C)O.CC(C)O.CC(C)O.CCO.CCO.CCO.CCO.CCO.O
HOMO level	-0.3480	Eh
LUMO energy	0.47	eV
gap between HOMO and LUMO	0.3654	Eh

Atoms and positions in Å:
C 9.27350 -6.79972 19.84901
C 8.95098 -8.26399 19.58296
C 8.08964 -8.46865 18.36488
O 10.19050 -8.95129 19.35162
H 8.45770 -6.07414 19.68593
H 10.16952 -6.53191 19.36420
H 9.47965 -6.68500 20.97207
H 8.48400 -8.68127 20.52334
H 7.04300 -8.30567 18.48757
H 8.22961 -9.43643 17.89517
H 8.44419 -7.85919 17.54353
H 10.88674 -8.45595 19.78966
C 17.15928 -3.21655 12.13886
C 17.00308 -4.07139 13.40096
C 16.83847 -3.12353 14.60871
O 15.87096 -4.94589 13.31633
H 17.47686 -3.68796 11.22566
H 17.79917 -2.39375 12.40160
H 16.19313 -2.78686 11.87343
H 17.93561 -4.72098 13.51045
H 16.91019 -3.68063 15.51233
H 15.90348 -2.62748 14.74567
H 17.56112 -2.28830 14.62511
H 15.89655 -5.40799 12.43496
C 11.86257 -10.90221 15.22995
C 10.72847 -10.94856 16.25702
C 10.05974 -12.26307 15.93127
O 11.27513 -10.91833 17.58976
H 11.49162 -10.53482 14.28778
H 12.37749 -11.83646 15.02277
H 12.71136 -10.27561 15.51895
H 10.08510 -10.11796 16.11983
H 10.56846 -13.18899 16.27658
H 9.87864 -12.43815 14.87277
H 9.10950 -12.30832 16.44495
H 10.71610 -10.37890 18.15687
C 13.42463 0.52796 14.50090
C 12.87624 -0.60701 15.43230
O 13.86463 -1.31390 16.20499
H 13.67635 1.38526 15.09851
H 12.69229 0.84816 13.73184
H 14.35877 0.29674 13.98739
H 12.34446 -1.31970 14.82355
H 12.18618 -0.25858 16.22308
H 14.27159 -1.88591 15.56908
C 6.36493 -7.06284 15.37502
C 7.83325 -6.56930 15.55724
O 8.73380 -7.64094 15.29797
H 5.58003 -6.38353 15.70432
H 6.26635 -7.98335 15.95404
H 6.24558 -7.27874 14.38577
H 7.92140 -6.17992 16.53170
H 7.98818 -5.66318 14.92790
H 9.48008 -7.17186 14.92884
C 9.65750 -4.74404 12.54876
C 9.92162 -4.41836 13.98950
O 10.89493 -3.39971 14.19206
H 10.40226 -5.39631 12.03028
H 9.52394 -3.83290 11.96859
H 8.66485 -5.35780 12.60295
H 10.29097 -5.21706 14.57166
H 8.98950 -4.17781 14.40932
H 11.69597 -3.81513 13.89270
C 12.39706 -7.39114 14.22028
C 13.21141 -6.12828 14.56955
O 13.05084 -5.10603 13.52753
H 12.63274 -7.64051 13.13989
H 11.38229 -7.15442 14.33453
H 12.58975 -8.23092 14.91189
H 14.25406 -6.40290 14.62462
H 12.80006 -5.80067 15.54092
H 13.96431 -4.77031 13.40433
C 13.85831 -6.97381 9.51336
C 14.41142 -5.91765 10.43837
O 15.78150 -6.18838 10.89437
H 12.84319 -6.59126 9.30636
H 13.73347 -8.00295 9.90789
H 14.42279 -6.94205 8.57755
H 13.80809 -5.95111 11.41064
H 14.49081 -4.90939 10.02346
H 15.84562 -7.09384 11.20686
O 11.46910 -3.80089 17.11684
H 11.60232 -3.26741 16.30703
H 12.11838 -3.45329 17.75706

Forces on the atoms, in the same order (eV/Å):
-1.1 0.2 3.0
-0.3 -0.1 0.9
0.9 -0.3 -1.0
-0.2 -0.1 0.0
0.3 -0.5 -0.4
0.9 0.6 -1.0
-0.1 -0.1 -1.4
0.3 0.1 -1.0
-0.7 0.2 0.4
-0.1 -0.7 0.5
0.1 0.5 0.2
0.1 -0.1 0.0
-0.9 0.1 0.3
0.6 0.1 -0.4
0.9 -0.2 -0.2
0.1 0.0 -0.3
0.5 -0.6 -0.1
0.5 0.4 -0.3
-0.2 0.2 0.2
-1.0 0.9 0.2
0.5 -0.5 0.9
-1.1 0.2 -0.8
0.0 -0.7 -0.1
0.2 0.4 0.6
1.2 0.9 0.3
2.4 -1.7 -0.2
-1.2 -1.2 0.9
-0.1 -0.4 -0.8
-0.2 0.2 -0.5
-0.5 -0.6 0.2
-0.3 0.4 0.2
-0.8 0.8 -0.2
0.4 0.9 0.0
0.0 0.4 -0.2
-0.6 -0.1 0.0
-0.1 0.2 0.1
-0.4 -0.3 0.5
0.1 0.5 0.2
-0.3 0.7 -0.3
0.0 0.5 0.3
0.2 -0.3 0.5
-0.1 -0.6 0.0
-0.4 -0.3 -0.2
0.2 0.3 -0.8
0.6 -0.6 -0.2
1.6 0.2 2.5
-2.2 0.5 -1.1
-0.4 0.8 -0.2
0.3 0.3 0.0
-0.1 0.0 -0.1
-0.6 -0.7 -2.8
0.5 0.2 1.5
0.0 -1.0 0.0
0.7 -0.4 -0.2
-1.3 -2.0 -0.4
1.4 0.7 -0.6
-1.1 0.8 0.1
-0.3 0.6 0.6
-0.2 0.0 0.0
1.5 1.1 -0.6
0.2 -1.6 0.5
-0.9 1.2 0.8
1.2 -0.3 -0.3
1.9 0.2 -1.1
-1.1 -0.6 -0.2
0.6 -0.6 1.0
-0.5 -0.1 1.2
-1.6 0.2 -0.2
0.2 0.4 -0.5
0.3 0.2 0.3
0.6 0.5 -0.3
-0.3 0.0 0.0
-0.6 0.8 -0.6
0.3 -1.2 2.8
-0.1 0.2 -0.5
0.2 -0.4 -0.2
0.4 0.7 0.0
-0.1 -0.4 0.0
0.4 0.6 -1.5
-0.4 -0.3 -0.1
-0.1 -0.3 -0.1
0.6 0.5 0.0
-0.2 -0.4 0.4
-0.4 -0.2 -0.5

---

(2)
DFT (ωB97M-V/def2-TZVPD) results for a molecular structure, C19H57CoN10O8.

Properties
Reply.
(1)
DFT (ωB97M-V/def2-TZVPD) results for 9 unconnected molecules or ions with the total composition C19H56O9.

Properties
total charge	0
SMILES string	CC(C)O.CC(C)O.CC(C)O.CCO.CCO.CCO.CCO.CCO.O
HOMO level	-0.3480	Eh
LUMO energy	0.47	eV
gap between HOMO and LUMO	0.3654	Eh

Atoms and positions in Å:
C 9.27350 -6.79972 19.84901
C 8.95098 -8.26399 19.58296
C 8.08964 -8.46865 18.36488
O 10.19050 -8.95129 19.35162
H 8.45770 -6.07414 19.68593
H 10.16952 -6.53191 19.36420
H 9.47965 -6.68500 20.97207
H 8.48400 -8.68127 20.52334
H 7.04300 -8.30567 18.48757
H 8.22961 -9.43643 17.89517
H 8.44419 -7.85919 17.54353
H 10.88674 -8.45595 19.78966
C 17.15928 -3.21655 12.13886
C 17.00308 -4.07139 13.40096
C 16.83847 -3.12353 14.60871
O 15.87096 -4.94589 13.31633
H 17.47686 -3.68796 11.22566
H 17.79917 -2.39375 12.40160
H 16.19313 -2.78686 11.87343
H 17.93561 -4.72098 13.51045
H 16.91019 -3.68063 15.51233
H 15.90348 -2.62748 14.74567
H 17.56112 -2.28830 14.62511
H 15.89655 -5.40799 12.43496
C 11.86257 -10.90221 15.22995
C 10.72847 -10.94856 16.25702
C 10.05974 -12.26307 15.93127
O 11.27513 -10.91833 17.58976
H 11.49162 -10.53482 14.28778
H 12.37749 -11.83646 15.02277
H 12.71136 -10.27561 15.51895
H 10.08510 -10.11796 16.11983
H 10.56846 -13.18899 16.27658
H 9.87864 -12.43815 14.87277
H 9.10950 -12.30832 16.44495
H 10.71610 -10.37890 18.15687
C 13.42463 0.52796 14.50090
C 12.87624 -0.60701 15.43230
O 13.86463 -1.31390 16.20499
H 13.67635 1.38526 15.09851
H 12.69229 0.84816 13.73184
H 14.35877 0.29674 13.98739
H 12.34446 -1.31970 14.82355
H 12.18618 -0.25858 16.22308
H 14.27159 -1.88591 15.56908
C 6.36493 -7.06284 15.37502
C 7.83325 -6.56930 15.55724
O 8.73380 -7.64094 15.29797
H 5.58003 -6.38353 15.70432
H 6.26635 -7.98335 15.95404
H 6.24558 -7.27874 14.38577
H 7.92140 -6.17992 16.53170
H 7.98818 -5.66318 14.92790
H 9.48008 -7.17186 14.92884
C 9.65750 -4.74404 12.54876
C 9.92162 -4.41836 13.98950
O 10.89493 -3.39971 14.19206
H 10.40226 -5.39631 12.03028
H 9.52394 -3.83290 11.96859
H 8.66485 -5.35780 12.60295
H 10.29097 -5.21706 14.57166
H 8.98950 -4.17781 14.40932
H 11.69597 -3.81513 13.89270
C 12.39706 -7.39114 14.22028
C 13.21141 -6.12828 14.56955
O 13.05084 -5.10603 13.52753
H 12.63274 -7.64051 13.13989
H 11.38229 -7.15442 14.33453
H 12.58975 -8.23092 14.91189
H 14.25406 -6.40290 14.62462
H 12.80006 -5.80067 15.54092
H 13.96431 -4.77031 13.40433
C 13.85831 -6.97381 9.51336
C 14.41142 -5.91765 10.43837
O 15.78150 -6.18838 10.89437
H 12.84319 -6.59126 9.30636
H 13.73347 -8.00295 9.90789
H 14.42279 -6.94205 8.57755
H 13.80809 -5.95111 11.41064
H 14.49081 -4.90939 10.02346